Please type out every line further down that contains the word "same".

____________
1.
# GGA-PBE Rb3NaNi2Br9, optimized geometry
data_Rb3NaNi2Br9
_cell_length_a 7.4501
_cell_length_b 7.4501
_cell_length_c 9.3771
_cell_angle_alpha 90.00
_cell_angle_beta 90.00
_cell_angle_gamma 120.00
_symmetry_space_group_name_H-M 'P -3 m 1'
_symmetry_Int_Tables_number 164
_symmetry_space_group_name_Hall '-P 3 2"'
loop_
_atom_site_label
_atom_site_fract_x
_atom_site_fract_y
_atom_site_fract_z
Rb1 0.0000 0.0000 0.0000
Rb2 0.3333 0.6667 0.6732
Na1 0.0000 0.0000 0.5000
Ni1 0.3333 0.6667 0.1621
Br1 0.0000 0.5000 0.0000
Br2 0.1761 0.3522 0.3088
# **E_form (uncorrected)**: -991 meV per atom
# **Electronic total energy**: -45.70 eV/cell
# **Spin magnetization**: 2.47 μB per formula unit

2.
# GGA-PBE NaNiSe2Br, optimized geometry
data_NaNiSe2Br
_cell_length_a 4.521
_cell_length_b 4.521
_cell_length_c 6.975
_cell_angle_alpha 90.00
_cell_angle_beta 90.00
_cell_angle_gamma 90.00
_symmetry_space_group_name_H-M 'P 4/m m m'
_symmetry_Int_Tables_number 123
_symmetry_space_group_name_Hall '-P 4 2'
loop_
_atom_site_label
_atom_site_fract_x
_atom_site_fract_y
_atom_site_fract_z
Na1 0.000 0.000 0.000
Ni1 0.500 0.500 0.500
Se1 0.000 0.500 0.500
Br1 0.500 0.500 0.000
# **E_form (uncorrected)**: -279 meV per atom
# **Electronic total energy**: -17.14 eV/cell
# **Distance to the lowest polymorph of the same formula**: 0 meV/atom
# **Spin magnetization**: 1.87 μB per formula unit

spin magnetization of number 2 (NaNiSe2Br)?
1.87 μB per formula unit

What did the second record say?
# GGA-PBE NaNiSe2Br, optimized geometry
data_NaNiSe2Br
_cell_length_a 4.521
_cell_length_b 4.521
_cell_length_c 6.975
_cell_angle_alpha 90.00
_cell_angle_beta 90.00
_cell_angle_gamma 90.00
_symmetry_space_group_name_H-M 'P 4/m m m'
_symmetry_Int_Tables_number 123
_symmetry_space_group_name_Hall '-P 4 2'
loop_
_atom_site_label
_atom_site_fract_x
_atom_site_fract_y
_atom_site_fract_z
Na1 0.000 0.000 0.000
Ni1 0.500 0.500 0.500
Se1 0.000 0.500 0.500
Br1 0.500 0.500 0.000
# **E_form (uncorrected)**: -279 meV per atom
# **Electronic total energy**: -17.14 eV/cell
# **Distance to the lowest polymorph of the same formula**: 0 meV/atom
# **Spin magnetization**: 1.87 μB per formula unit

Which of these has the highest spin magnetization?
Rb3NaNi2Br9


Entry A
{"formula": "YTa2Be", "functional": "GGA-PBE", "state": "relaxed", "sg": "Pmmm", "lattice": [[3.021, 0.000, 0.000], [0.000, 3.350, 0.000], [0.000, 0.000, 7.342]], "species": ["Y", "Ta", "Ta", "Be"], "frac_coords": [[0.000, 0.000, 0.000], [0.500, 0.500, 0.318], [0.500, 0.500, 0.682], [0.000, 0.000, 0.500]]}

Entry B
{"formula": "YTa2Be", "functional": "GGA-PBE", "state": "relaxed", "sg": "P4mm", "lattice": [[3.380, 0.000, 0.000], [0.000, 3.380, 0.000], [0.000, 0.000, 6.669]], "species": ["Y", "Ta", "Ta", "Be"], "frac_coords": [[0.000, 0.000, 0.000], [0.000, 0.000, 0.470], [0.500, 0.500, 0.686], [0.500, 0.500, 0.300]]}

Entry C
{"formula": "YTa2Be", "functional": "GGA-PBE", "state": "relaxed", "sg": "Imm2", "lattice": [[-1.945, 2.202, 4.349], [1.945, -2.202, 4.349], [1.945, 2.202, -4.349]], "species": ["Y", "Ta", "Ta", "Be"], "frac_coords": [[0.000, 0.000, 0.000], [0.443, 0.443, 0.000], [0.732, 0.232, 0.500], [0.246, 0.746, 0.500]]}

Energetically preferred structure: entry B | next structure: +0.141 eV/atom

Entry A
{"formula": "Y3TaBe", "functional": "GGA-PBE", "state": "relaxed", "sg": "Pm-3m", "lattice": [[5.120, 0.000, 0.000], [0.000, 5.120, 0.000], [0.000, 0.000, 5.120]], "species": ["Y", "Y", "Y", "Ta", "Be"], "frac_coords": [[0.000, 0.000, 0.500], [0.000, 0.500, 0.000], [0.500, 0.000, 0.000], [0.500, 0.500, 0.500], [0.000, 0.000, 0.000]]}

Entry B
{"formula": "Y3TaBe", "functional": "GGA-PBE", "state": "relaxed", "sg": "Pm-3m", "lattice": [[5.424, 0.000, 0.000], [0.000, 5.424, 0.000], [0.000, 0.000, 5.424]], "species": ["Y", "Y", "Y", "Ta", "Be"], "frac_coords": [[0.000, 0.000, 0.500], [0.000, 0.500, 0.000], [0.500, 0.000, 0.000], [0.000, 0.000, 0.000], [0.500, 0.500, 0.500]]}
____________

# **Distance to the lowest polymorph of the same formula**: 0 meV/atom
# **Distance to the lowest polymorph of the same formula**: 0 meV/atom